'''
# C41H90F15N10O19S2

13 unconnected molecules or ions with the total composition C41H90F15N10O19S2 (ωB97M-V/def2-TZVPD, OMol25).

Results
Total charge: +5
Energy above the lowest of the compared OMol25 structures with the same formula, charge and spin (kcal per mole): 0.00
Calculated total energy (eV): -160155.08477
Kohn-Sham gap (eV): 3.853
Strongest force on any atom (eV/A): 3.5

Each atom is followed by the atoms it is bonded to, with distances in Å.
Geometry (Å):
1 C 1.298 -0.474 1.323  F2 1.338, F3 1.347, F4 1.289, S5 1.953
2 F 2.139 0.435 1.829  C1 1.338
3 F 1.918 -0.977 0.238  C1 1.347
4 F 0.975 -1.432 2.124  C1 1.289
5 S -0.242 0.600 0.784  C1 1.953, O6 1.455, O7 1.458, N8 1.747, S9 2.597
6 O -1.285 -0.377 0.515  S5 1.455
7 O -0.554 1.466 1.914  S5 1.458
8 N 0.512 1.525 -0.494  S5 1.747, S9 1.547
9 S -0.359 1.219 -1.736  S5 2.597, N8 1.547, O10 1.440, O11 1.451, C12 1.939
10 O -0.018 -0.027 -2.370  S9 1.440
11 O -1.755 1.549 -1.516  S9 1.451
12 C 0.207 2.611 -2.962  S9 1.939, F13 1.350, F14 1.333, F15 1.319
13 F -0.045 3.877 -2.567  C12 1.350
14 F 1.521 2.545 -3.176  C12 1.333
15 F -0.526 2.392 -4.037  C12 1.319
16 C 5.049 2.224 0.879  C17 1.510, H23 1.086, H24 1.091, H25 1.093
17 C 3.939 2.171 -0.143  C16 1.510, O18 1.188, N19 1.558
18 O 3.979 1.689 -1.229  C17 1.188
19 N 2.666 2.943 0.313  C17 1.558, H20 1.054, H21 1.016, C22 1.533
20 H 1.859 2.318 0.049  N19 1.054
21 H 2.743 2.978 1.326  N19 1.016
22 C 2.666 4.288 -0.422  N19 1.533, H26 1.089, H27 1.086, H28 1.086
23 H 5.786 1.442 0.718  C16 1.086
24 H 4.582 2.143 1.862  C16 1.091
25 H 5.496 3.221 0.849  C16 1.093
26 H 1.591 4.418 -0.538  C22 1.089
27 H 3.036 4.217 -1.441  C22 1.086
28 H 3.127 5.108 0.121  C22 1.086
29 C -2.579 -2.542 1.617  C30 1.511, H36 1.084, H37 1.091, H38 1.094
30 C -3.782 -3.386 1.968  C29 1.511, O31 1.194, N32 1.508
31 O -4.707 -3.673 1.269  C30 1.194
32 N -3.709 -4.037 3.326  C30 1.508, H33 1.021, H34 1.037, C35 1.527
33 H -3.988 -5.002 3.140  N32 1.021
34 H -2.721 -4.201 3.597  N32 1.037
35 C -4.583 -3.454 4.435  N32 1.527, H39 1.085, H40 1.088, H41 1.090
36 H -2.620 -2.165 0.602  C29 1.084
37 H -1.640 -3.049 1.847  C29 1.091
38 H -2.603 -1.703 2.318  C29 1.094
39 H -4.149 -2.542 4.830  C35 1.085
40 H -4.770 -4.232 5.172  C35 1.088
41 H -5.589 -3.204 4.098  C35 1.090
42 C 3.616 -0.502 -3.677  C43 1.476, H49 1.093, H50 1.096, H51 1.087
43 C 4.494 0.550 -4.223  C42 1.476, O44 1.202, N45 1.538
44 O 4.116 1.478 -4.888  C43 1.202
45 N 5.966 0.399 -3.803  C43 1.538, H46 1.020, H47 1.021, C48 1.545
46 H 6.169 -0.471 -3.310  N45 1.020
47 H 6.559 0.329 -4.631  N45 1.021
48 C 6.427 1.627 -2.985  N45 1.545, H52 1.086, H53 1.089, H54 1.085
49 H 3.482 -0.438 -2.594  C42 1.093
50 H 4.107 -1.470 -3.830  C42 1.096
51 H 2.631 -0.563 -4.133  C42 1.087
52 H 5.934 2.521 -3.353  C48 1.086
53 H 7.504 1.678 -3.141  C48 1.089
54 H 6.303 1.489 -1.916  C48 1.085
55 C -2.320 5.301 2.245  C56 1.494, H62 1.093, H63 1.093, H64 1.090
56 C -1.994 5.975 3.538  C55 1.494, O57 1.187, N58 1.489
57 O -1.925 5.371 4.557  C56 1.187
58 N -1.861 7.458 3.513  C56 1.489, H59 1.019, H60 1.022, C61 1.560
59 H -1.119 7.812 2.911  N58 1.019
60 H -2.701 7.936 3.181  N58 1.022
61 C -1.635 8.132 4.901  N58 1.560, H65 1.087, H66 1.086, H67 1.089
62 H -1.984 5.894 1.390  C55 1.093
63 H -3.403 5.194 2.137  C55 1.093
64 H -1.892 4.305 2.137  C55 1.090
65 H -1.554 9.208 4.770  C61 1.087
66 H -0.825 7.678 5.465  C61 1.086
67 H -2.538 7.930 5.476  C61 1.089
68 C 4.524 -6.391 0.432  C69 1.501, H75 1.087, H76 1.093, H77 1.089
69 C 3.545 -5.332 0.015  C68 1.501, O70 1.206, N71 1.516
70 O 3.793 -4.316 -0.587  C69 1.206
71 N 2.120 -5.576 0.470  C69 1.516, H72 1.034, H73 1.019, C74 1.524
72 H 1.562 -5.338 -0.368  N71 1.034
73 H 2.035 -6.582 0.600  N71 1.019
74 C 1.741 -4.931 1.798  N71 1.524, H78 1.088, H79 1.087, H80 1.087
75 H 4.155 -7.398 0.255  C68 1.087
76 H 4.738 -6.123 1.469  C68 1.093
77 H 5.407 -6.147 -0.156  C68 1.089
78 H 0.724 -5.277 1.966  C74 1.088
79 H 1.904 -3.877 1.589  C74 1.087
'''

Restate the data earlier on from the line with "the compared" to the end verbatim, please.

Energy above the lowest of the compared OMol25 structures with the same formula, charge and spin (kcal per mole): 0.00
Calculated total energy (eV): -160155.08477
Kohn-Sham gap (eV): 3.853
Strongest force on any atom (eV/A): 3.5

Each atom is followed by the atoms it is bonded to, with distances in Å.
Geometry (Å):
1 C 1.298 -0.474 1.323  F2 1.338, F3 1.347, F4 1.289, S5 1.953
2 F 2.139 0.435 1.829  C1 1.338
3 F 1.918 -0.977 0.238  C1 1.347
4 F 0.975 -1.432 2.124  C1 1.289
5 S -0.242 0.600 0.784  C1 1.953, O6 1.455, O7 1.458, N8 1.747, S9 2.597
6 O -1.285 -0.377 0.515  S5 1.455
7 O -0.554 1.466 1.914  S5 1.458
8 N 0.512 1.525 -0.494  S5 1.747, S9 1.547
9 S -0.359 1.219 -1.736  S5 2.597, N8 1.547, O10 1.440, O11 1.451, C12 1.939
10 O -0.018 -0.027 -2.370  S9 1.440
11 O -1.755 1.549 -1.516  S9 1.451
12 C 0.207 2.611 -2.962  S9 1.939, F13 1.350, F14 1.333, F15 1.319
13 F -0.045 3.877 -2.567  C12 1.350
14 F 1.521 2.545 -3.176  C12 1.333
15 F -0.526 2.392 -4.037  C12 1.319
16 C 5.049 2.224 0.879  C17 1.510, H23 1.086, H24 1.091, H25 1.093
17 C 3.939 2.171 -0.143  C16 1.510, O18 1.188, N19 1.558
18 O 3.979 1.689 -1.229  C17 1.188
19 N 2.666 2.943 0.313  C17 1.558, H20 1.054, H21 1.016, C22 1.533
20 H 1.859 2.318 0.049  N19 1.054
21 H 2.743 2.978 1.326  N19 1.016
22 C 2.666 4.288 -0.422  N19 1.533, H26 1.089, H27 1.086, H28 1.086
23 H 5.786 1.442 0.718  C16 1.086
24 H 4.582 2.143 1.862  C16 1.091
25 H 5.496 3.221 0.849  C16 1.093
26 H 1.591 4.418 -0.538  C22 1.089
27 H 3.036 4.217 -1.441  C22 1.086
28 H 3.127 5.108 0.121  C22 1.086
29 C -2.579 -2.542 1.617  C30 1.511, H36 1.084, H37 1.091, H38 1.094
30 C -3.782 -3.386 1.968  C29 1.511, O31 1.194, N32 1.508
31 O -4.707 -3.673 1.269  C30 1.194
32 N -3.709 -4.037 3.326  C30 1.508, H33 1.021, H34 1.037, C35 1.527
33 H -3.988 -5.002 3.140  N32 1.021
34 H -2.721 -4.201 3.597  N32 1.037
35 C -4.583 -3.454 4.435  N32 1.527, H39 1.085, H40 1.088, H41 1.090
36 H -2.620 -2.165 0.602  C29 1.084
37 H -1.640 -3.049 1.847  C29 1.091
38 H -2.603 -1.703 2.318  C29 1.094
39 H -4.149 -2.542 4.830  C35 1.085
40 H -4.770 -4.232 5.172  C35 1.088
41 H -5.589 -3.204 4.098  C35 1.090
42 C 3.616 -0.502 -3.677  C43 1.476, H49 1.093, H50 1.096, H51 1.087
43 C 4.494 0.550 -4.223  C42 1.476, O44 1.202, N45 1.538
44 O 4.116 1.478 -4.888  C43 1.202
45 N 5.966 0.399 -3.803  C43 1.538, H46 1.020, H47 1.021, C48 1.545
46 H 6.169 -0.471 -3.310  N45 1.020
47 H 6.559 0.329 -4.631  N45 1.021
48 C 6.427 1.627 -2.985  N45 1.545, H52 1.086, H53 1.089, H54 1.085
49 H 3.482 -0.438 -2.594  C42 1.093
50 H 4.107 -1.470 -3.830  C42 1.096
51 H 2.631 -0.563 -4.133  C42 1.087
52 H 5.934 2.521 -3.353  C48 1.086
53 H 7.504 1.678 -3.141  C48 1.089
54 H 6.303 1.489 -1.916  C48 1.085
55 C -2.320 5.301 2.245  C56 1.494, H62 1.093, H63 1.093, H64 1.090
56 C -1.994 5.975 3.538  C55 1.494, O57 1.187, N58 1.489
57 O -1.925 5.371 4.557  C56 1.187
58 N -1.861 7.458 3.513  C56 1.489, H59 1.019, H60 1.022, C61 1.560
59 H -1.119 7.812 2.911  N58 1.019
60 H -2.701 7.936 3.181  N58 1.022
61 C -1.635 8.132 4.901  N58 1.560, H65 1.087, H66 1.086, H67 1.089
62 H -1.984 5.894 1.390  C55 1.093
63 H -3.403 5.194 2.137  C55 1.093
64 H -1.892 4.305 2.137  C55 1.090
65 H -1.554 9.208 4.770  C61 1.087
66 H -0.825 7.678 5.465  C61 1.086
67 H -2.538 7.930 5.476  C61 1.089
68 C 4.524 -6.391 0.432  C69 1.501, H75 1.087, H76 1.093, H77 1.089
69 C 3.545 -5.332 0.015  C68 1.501, O70 1.206, N71 1.516
70 O 3.793 -4.316 -0.587  C69 1.206
71 N 2.120 -5.576 0.470  C69 1.516, H72 1.034, H73 1.019, C74 1.524
72 H 1.562 -5.338 -0.368  N71 1.034
73 H 2.035 -6.582 0.600  N71 1.019
74 C 1.741 -4.931 1.798  N71 1.524, H78 1.088, H79 1.087, H80 1.087
75 H 4.155 -7.398 0.255  C68 1.087
76 H 4.738 -6.123 1.469  C68 1.093
77 H 5.407 -6.147 -0.156  C68 1.089
78 H 0.724 -5.277 1.966  C74 1.088
79 H 1.904 -3.877 1.589  C74 1.087